Bill Bryson's new book At Home has the subtitle "A Short History of Private Life," but it could be more accurately called "Really Interesting Stuff Nobody Knows."
Stuff like a Stone Age village discovered in Scotland – older than the Great Pyramids – that had built-in dressers, storage shelves, plumbing, and even breezeways between houses.
Or the tale of how salt and pepper became the condiments found on nearly every table. ("Why not pepper and cardamom, say, or salt and cinnamon?" Bryson muses.)
The book touches on everything from dendrochronology to architectural history, with sprawling lemmas that appear to have nothing to do with homes or private life, until they segue tidily into the point at hand. In short, At Home will give you interesting things to talk about at parties for the next hundred years, or at least until Bryson pens another one.
Here are a few of its revelations:
The Mystery Condiment
As late as the 1850s, cruet stands for condiments came with a bottle each for oil and vinegar, a shaker for salt and pepper, and a third shaker for nobody knows what. Although it's far from ancient history, there isn't a shred of evidence to suggest what was commonly stored in the third container. It might have been powdered mustard.
What's a Tuffet?
Did you think it was an ottoman of some sort? Most people think so, but the fact is the only place in history that the word appears is in the nursery rhyme "Little Miss Muffet." Taken in context, it could be a footstool, or it could be a nonsense word invented for the sole purpose of rhyming with "Muffet." The world may never know.
Ever wondered why vitamins go from A through E, then right to K, as if vitamins F through J were banned for bad behavior? The 'K' is actually an abbreviated form of the original name, Koagulations vitamin, given to it by the Danish scientist who discovered it. Even stranger is vitamin C, which ever member of the animal kingdom can make on its own, except for guinea pigs and humans, who must get their necessary daily allowances from their diet.
Short Doors
(What comes next are calculated molecules, not part of the entry)
# 1
C83H74AsCl3IN7O6P2RbSSb as an isolated structure, computed with wB97M-V/def2-TZVPD.

- orbital gap (eV) = 5.13
- 2S+1 = 1
- E_HOMO (eV) = -2.01
- total charge = -2

Cartesian coordinates (Å):
Rb -0.05897 -0.15879 0.06954
Cl 3.42099 -6.43576 -3.67691
C 2.81550 -4.80891 -3.48088
C 2.34681 -4.40951 -2.24593
C 1.80374 -3.13003 -2.01199
N 1.19676 -2.84314 -0.82145
C 1.67907 -3.27901 0.32748
O 2.84890 -3.63603 0.59952
C 0.65074 -3.39874 1.43822
C 0.92412 -4.26627 2.49918
C -0.03807 -4.46746 3.47340
C -1.24275 -3.78596 3.37703
C -1.41097 -2.91978 2.30585
N -0.50222 -2.74361 1.35453
C 1.80195 -2.22251 -3.10788
C 2.29256 -2.64854 -4.33947
C 2.78476 -3.92670 -4.54741
Cl 3.34013 -4.38273 -6.13670
N 1.22933 -0.94764 -3.03629
C 1.94691 0.09802 -3.29698
O 3.21268 0.19421 -3.45819
C 1.17077 1.37176 -3.53539
C 1.22198 1.95887 -4.80308
C 0.53175 3.13383 -5.03004
C -0.17361 3.70992 -3.97923
C -0.16066 3.05427 -2.75958
N 0.48510 1.91552 -2.53944
H 2.38840 -5.09774 -1.41363
H 1.88009 -4.77144 2.52354
H 0.14698 -5.14743 4.29780
H -2.01681 -3.90114 4.12583
H -2.31636 -2.32941 2.20054
H 2.28844 -1.94822 -5.16548
H 1.78675 1.48327 -5.59586
H 0.53672 3.59795 -6.01030
H -0.72063 4.63633 -4.10581
H -0.69792 3.44554 -1.90420
O -2.00627 1.74621 -0.65160
P -3.20726 1.41612 -1.44306
C -4.16454 0.02282 -0.75828
P -3.37145 -1.57984 -1.12975
O -1.94308 -1.62040 -0.79452
C -4.38327 -2.75271 -0.17399
C -5.74346 -2.59792 0.07322
C -6.41112 -3.51195 0.87257
C -5.72567 -4.58795 1.42038
C -4.37524 -4.76043 1.15413
C -3.70468 -3.84526 0.35723
C -3.67482 -2.11894 -2.84131
C -4.85439 -1.93966 -3.55238
C -4.98881 -2.49417 -4.81622
C -3.95699 -3.24756 -5.36060
C -2.78569 -3.44619 -4.64297
C -2.64143 -2.87954 -3.38689
C -4.38615 2.81334 -1.52692
C -5.77245 2.70367 -1.51303
C -6.56777 3.83983 -1.55624
C -5.98704 5.09789 -1.61415
C -4.60467 5.21730 -1.64531
C -3.81269 4.08148 -1.60598
C -2.88274 1.03780 -3.18481
C -3.67771 1.54783 -4.21002
C -3.37641 1.25511 -5.52934
C -2.27791 0.45918 -5.82912
C -1.48601 -0.04763 -4.81078
C -1.78580 0.23763 -3.48763
H -5.20575 0.04288 -1.07366
H -4.08456 0.11801 0.33734
H -6.28855 -1.75895 -0.34241
H -7.46383 -3.37290 1.08582
H -6.24581 -5.28552 2.06547
H -3.83820 -5.59670 1.58417
H -2.64396 -3.94382 0.15667
H -5.66908 -1.36164 -3.12813
H -5.90240 -2.34176 -5.37857
H -4.06740 -3.67732 -6.34895
H -1.97701 -4.03036 -5.06447
H -1.72214 -3.00172 -2.82181
H -6.25116 1.73422 -1.46403
H -7.64615 3.74014 -1.53717
H -6.61061 5.98308 -1.63009
H -4.14626 6.19777 -1.68723
H -2.73234 4.16199 -1.62652
H -4.52611 2.17995 -3.97620
H -3.99608 1.65430 -6.32397
H -2.03713 0.24212 -6.86330
H -0.62397 -0.66935 -5.02006
H -1.14873 -0.16228 -2.69916
Cl -3.12927 -0.02374 8.06861
C -3.06324 0.00332 6.31358
C -4.19646 0.35519 5.61615
C -4.16936 0.38343 4.23050
I -5.91972 0.84886 3.14212
C -3.04074 0.07043 3.42232
O -3.05153 0.07892 2.17027
C -1.84832 -0.27968 4.21621
N -0.74154 -0.56466 3.51735
C 0.34852 -0.94662 4.13208
C 0.42307 -1.07192 5.52802
C -0.67984 -0.75393 6.27595
It's a misconception that doors in old houses are small because people were shorter. Doors, like windows, were expensive, so the people scrimped by making them as small as possible.
Unrelated to this page: records of molecules:
'''
85
Properties=species:S:1:pos:R:3:mulliken_spin:R:1 method="wB97M-V/def2-TZVPD" max_force_ev_per_a=6.73 multiplicity=5 s_squared=6.040 total_charge=0 de_lowest_ev=0.000
C 2.533 -0.389 0.344 0.063
C 2.388 -1.214 -0.802 0.132
C 1.815 -0.418 -1.846 0.049
H 2.778 -2.224 -0.892 -0.015
C 1.585 0.891 -1.315 0.113
C 2.076 0.907 0.019 0.157
H 1.172 1.743 -1.849 0.021
C -1.163 -2.446 0.978 0.260
C 0.121 -2.676 0.434 0.076
C 0.048 -2.410 -0.996 0.145
H 0.970 -3.135 0.938 0.015
C -1.305 -1.948 -1.261 0.036
C -2.020 -1.969 -0.042 0.170
H 1.704 -0.708 -2.887 0.009
H 2.136 1.779 0.654 0.054
H 3.010 -0.686 1.275 0.018
H -3.076 -1.722 0.068 0.001
H 0.679 -2.858 -1.757 -0.025
H -1.490 -2.671 1.991 0.001
Co 0.548 -0.581 -0.350 2.513
C -1.833 -1.651 -2.631 0.047
C -3.354 -1.866 -2.650 0.002
C -1.183 -2.572 -3.681 0.017
H -3.589 -2.899 -2.363 0.001
H -3.732 -1.677 -3.657 0.001
H -3.855 -1.177 -1.963 0.000
H -1.343 -3.623 -3.407 -0.007
H -0.104 -2.395 -3.781 -0.001
H -1.650 -2.393 -4.657 0.001
C -1.419 -0.173 -2.922 0.007
C -1.952 0.356 -4.228 0.001
H -0.319 -0.089 -2.948 0.007
H -1.800 0.497 -2.125 -0.010
O -2.940 -0.167 -4.727 0.000
N -1.342 1.400 -4.857 0.000
C -0.171 2.135 -4.408 0.002
H -1.843 1.759 -5.661 0.000
C 1.130 1.480 -4.836 0.001
C 2.333 2.102 -4.488 -0.002
H 2.290 3.037 -3.923 0.000
C 3.553 1.531 -4.852 0.000
H 4.483 2.022 -4.562 0.000
C 3.575 0.339 -5.588 0.000
H 4.529 -0.105 -5.879 0.000
C 2.375 -0.275 -5.958 0.000
H 2.372 -1.201 -6.536 0.000
C 1.149 0.302 -5.594 0.000
H 0.208 -0.151 -5.919 0.000
H -0.196 2.222 -3.306 0.001
H -0.224 3.157 -4.814 0.000
O -0.393 0.334 1.002 0.137
Si -0.306 0.560 2.612 -0.040
C 1.185 -0.281 3.388 0.010
C 1.281 -1.680 3.389 0.006
C 2.428 -2.320 3.869 -0.002
C 3.466 -1.567 4.427 0.000
C 3.350 -0.175 4.494 0.001
C 2.212 0.465 3.984 -0.002
C -0.281 2.353 3.160 0.005
C -1.223 2.823 4.088 -0.001
C -1.160 4.139 4.565 0.000
C -0.152 5.001 4.120 0.000
C 0.775 4.549 3.174 0.000
C 0.700 3.239 2.686 0.007
C -1.776 -0.225 3.449 0.001
C -3.028 -0.101 2.834 0.017
C -4.167 -0.638 3.442 0.001
C -4.056 -1.333 4.653 0.003
C -2.802 -1.484 5.254 0.000
C -1.665 -0.920 4.661 0.003
H 0.444 -2.288 3.036 0.005
H 2.497 -3.409 3.813 0.000
H 4.355 -2.065 4.817 0.000
H 4.143 0.423 4.946 0.000
H 2.117 1.549 4.067 0.001
H -2.007 2.153 4.448 0.001
H -1.899 4.485 5.290 0.000
H -0.090 6.022 4.503 0.000
H 1.564 5.211 2.815 0.000
H 1.421 2.904 1.940 -0.017
H -3.114 0.417 1.875 0.004
H -5.139 -0.513 2.961 0.000
H -4.945 -1.757 5.123 0.000
H -2.699 -2.039 6.188 0.000
H -0.691 -1.024 5.144 0.000

=====

{
  "formula": "C36H52AsBClN6O4PtS3",
  "method": "ωB97M-V with the def2-TZVPD basis set",
  "total_charge": 3,
  "s2": 6.051,
  "spin_multiplicity": 5,
  "e_homo_ev": [-14.75, -14.96],
  "largest_force_ha_per_bohr": 0.006,
  "orbital_gap_ev": [6.23, 3.50],
  "relative_energy_ev": 0.2663,
'''
Salt and Pepper
# Between two parts of the text: data records
~~~
[1]
43
Properties=species:S:1:pos:R:3:forces:R:3:nbo_charge:R:1 method="wB97M-V/def2-TZVPD" charge=+1
In 0.175 -0.227 -0.251 -1.466 -0.516 1.148 1.965
Cl -0.068 6.264 2.706 0.007 0.014 0.003 0.094
C -0.174 4.593 2.346 0.019 -0.016 0.017 -0.112
C -0.633 4.176 1.099 0.004 -0.001 -0.030 -0.059
Cl -1.060 5.317 -0.105 -0.008 -0.001 0.006 0.093
C -0.733 2.815 0.835 -0.085 0.174 0.023 -0.170
Cl -1.225 2.252 -0.736 0.252 -0.259 -0.029 0.116
C -0.380 1.846 1.773 -0.256 -0.121 0.050 0.348
O -0.478 0.554 1.504 0.531 0.390 0.074 -0.866
C 0.113 2.283 3.008 -0.038 0.050 0.043 -0.151
Cl 0.624 1.087 4.133 0.016 -0.018 -0.012 0.063
C 0.207 3.639 3.298 -0.010 0.008 -0.055 -0.058
Cl 0.809 4.144 4.818 -0.002 0.001 0.005 0.098
Cl -4.509 -1.677 -0.836 -0.144 -0.060 -0.014 0.066
C -3.374 -2.438 0.202 0.121 0.052 -0.173 -0.081
C -3.792 -3.444 1.091 -0.110 -0.040 0.045 -0.196
C -2.908 -4.061 1.924 -0.128 -0.026 -0.037 -0.038
Cl -3.447 -5.326 2.968 -0.004 -0.008 0.042 0.044
C -1.554 -3.661 1.943 0.158 0.001 0.162 -0.120
C -0.572 -4.185 2.806 0.102 0.114 -0.109 -0.067
C 0.704 -3.680 2.771 -0.026 -0.020 0.035 -0.267
C 1.000 -2.637 1.889 -0.085 -0.071 0.045 0.089
N 0.099 -2.150 1.057 1.086 0.298 -0.396 -0.556
C -1.157 -2.643 1.051 -0.182 0.138 -0.213 0.185
C -2.055 -2.053 0.116 -0.045 -0.313 0.270 0.268
O -1.632 -1.183 -0.778 1.027 1.037 -0.646 -0.793
H -4.834 -3.736 1.108 -0.006 0.034 -0.059 0.257
H -0.833 -4.977 3.494 -0.024 -0.009 -0.009 0.250
H 1.477 -4.065 3.420 -0.001 0.026 0.016 0.245
H 1.983 -2.186 1.875 0.009 -0.082 -0.015 0.197
C 3.626 1.621 1.356 0.063 -0.080 -0.102 -0.443
C 3.704 0.098 1.168 -0.111 0.081 -0.027 -0.430
C 3.303 -0.064 -0.285 0.253 -0.190 0.175 -0.076
O 2.210 0.887 -0.441 -0.836 -0.908 -0.292 -0.596
C 2.588 2.082 0.326 0.021 0.340 0.234 -0.079
H 4.593 2.073 1.140 -0.010 0.029 0.009 0.232
H 3.342 1.899 2.369 -0.040 -0.037 0.000 0.248
H 2.976 -0.399 1.813 0.033 0.044 0.031 0.207
H 4.690 -0.307 1.383 0.007 -0.004 -0.023 0.251
H 2.937 -1.056 -0.558 -0.010 0.002 -0.002 0.194
H 4.111 0.206 -0.966 -0.078 0.089 -0.044 0.213
H 1.684 2.483 0.768 0.018 -0.013 -0.007 0.219
H 2.991 2.814 -0.372 -0.020 -0.130 -0.139 0.213


[2]
40
Properties=species:S:1:pos:R:3:forces:R:3:nbo_charge:R:1 method="wB97M-V/def2-TZVPD" relative_energy_kcal_mol=0.0 charge=-1
O 4.409 1.773 -0.432 -0.475 -1.183 0.500 -0.580
C 3.568 1.244 0.202 -0.190 2.472 -0.222 0.410
Co 1.860 1.670 0.887 1.857 3.173 -1.377 -0.098
C 2.171 3.259 1.599 1.456 0.862 1.194 0.528
O 2.391 4.327 1.984 -0.598 -0.821 -0.458 -0.546
C 1.327 2.407 -0.625 -0.317 0.214 -2.207 0.547
O 1.075 2.941 -1.622 0.288 -0.444 1.586 -0.540
C 1.415 0.275 1.958 -0.460 -1.558 1.065 -0.479
C 0.329 0.832 1.339 -2.504 -0.839 0.831 -0.047
C -1.019 1.062 1.256 0.755 0.247 1.475 -0.433
C -2.085 0.093 1.179 -0.317 -0.337 0.489 -0.026
C -3.435 0.533 1.208 0.492 -0.331 -0.405 -0.176
C -4.452 -0.307 0.775 0.194 -0.308 0.114 -0.227
C -4.155 -1.624 0.386 -0.012 0.015 -0.019 -0.270
C -2.845 -2.110 0.500 -0.064 0.220 0.370 -0.202
~~~
# Back to the text
While we tend to favor salt today, consuming it even in foods that don't taste salty (an ounce of corn flakes, Bryson points out, has more salt than an ounce of salted peanuts), Romans loved their pepper – they even sprinkled it on their sweets.
Drawing Room
I had assumed the "drawing" in this room's name had something to do with abundant sunlight that made it conducive for Victorian ladies to practice sketching. It is, in fact, an abbreviation of "withdrawing room," a place to get away from everyone else in the house. It sounds a bit less sociable once you know that.